### Brief
The reader should reproduce the whole of the block below word for word.

### Input
+++
{"formula": "C19H28N4O3", "method": "ωB97M-V/def2-TZVPD", "symbols": ["H", "H", "H", "C", "N", "H", "H", "H", "H", "C", "C", "C", "C", "H", "N", "H", "C", "H", "C", "C", "H", "O", "C", "H", "H", "H", "O", "H", "C", "C", "C", "H", "H", "N", "O", "C", "C", "H", "H", "C", "C", "N", "C", "H", "H", "H", "H", "H", "H", "H", "C", "C", "H", "H"], "xyz": [[-0.67008, 0.10087, 2.29397], [1.97588, -1.68168, -0.20189], [2.36071, -3.72620, 0.82208], [-2.19337, 1.97937, -2.32271], [2.92767, -3.29013, 4.32697], [-0.49900, -4.62874, 2.94953], [1.11103, -0.12970, -0.10041], [-1.00441, -1.31263, 0.36773], [-0.16367, -6.34718, 2.67950], [-3.29594, 1.05209, -1.87463], [0.28560, -5.37677, 2.88307], [-0.84877, 1.75804, -2.20183], [0.24205, -0.41543, 2.59496], [2.35333, -1.91723, 2.16140], [-4.19801, 0.73428, -2.99792], [2.58779, -4.35511, 6.10176], [0.23119, -1.85924, 2.05278], [0.83014, -5.42731, 3.82308], [-1.05052, 5.05032, -3.85151], [-0.19973, 2.91325, -2.76831], [-4.44363, 1.58292, -3.51259], [-2.42417, 3.19506, -2.91795], [-0.96936, 7.49108, -5.10881], [-0.37509, 0.88026, -1.77769], [0.86854, 3.07879, -2.85236], [-3.85843, 1.54274, -1.07342], [0.80443, -2.68464, 4.73699], [3.20349, -2.70815, 6.32275], [1.72907, -2.83601, 3.94373], [0.19727, 5.63085, -4.11004], [-0.06420, -1.84056, 0.53321], [-5.03355, 0.24199, -2.68176], [-2.86559, 0.13104, -1.46747], [-2.16558, 6.93846, -4.86087], [1.54539, -5.90145, 0.95231], [0.22744, 6.86874, -4.74825], [-1.19899, 3.75162, -3.19325], [-0.92885, 8.45442, -5.60770], [1.10495, 0.13448, 2.21978], [1.54558, -2.59542, 2.43420], [-2.20453, 5.74349, -4.24605], [1.76727, -3.81742, 1.63191], [1.01522, -1.18763, -0.34313], [0.72843, -1.28281, -1.39093], [4.29771, -3.99425, 5.76029], [1.12576, 5.14242, -3.82834], [-3.18077, 5.30747, -4.05678], [-0.21910, -2.86312, 0.18678], [1.17087, 7.35459, -4.97105], [3.62334, -3.43639, 3.61275], [3.27942, -3.60730, 5.70859], [1.24295, -5.03810, 1.75940], [-0.60393, -2.37877, 2.52347], [0.27673, -0.41928, 3.68469]], "smiles": "CC[C@H](C)[C@H](NC(C)=O)C(=O)NC.NCc1ccc(-c2cccnc2)o1", "fmax_ev_per_a": 2.1, "energy_ha": -1185.54867, "gap_ev": 8.62, "homo_ev": -8.1}

=====
+++

### Completed
{"formula": "C19H28N4O3", "method": "ωB97M-V/def2-TZVPD", "symbols": ["H", "H", "H", "C", "N", "H", "H", "H", "H", "C", "C", "C", "C", "H", "N", "H", "C", "H", "C", "C", "H", "O", "C", "H", "H", "H", "O", "H", "C", "C", "C", "H", "H", "N", "O", "C", "C", "H", "H", "C", "C", "N", "C", "H", "H", "H", "H", "H", "H", "H", "C", "C", "H", "H"], "xyz": [[-0.67008, 0.10087, 2.29397], [1.97588, -1.68168, -0.20189], [2.36071, -3.72620, 0.82208], [-2.19337, 1.97937, -2.32271], [2.92767, -3.29013, 4.32697], [-0.49900, -4.62874, 2.94953], [1.11103, -0.12970, -0.10041], [-1.00441, -1.31263, 0.36773], [-0.16367, -6.34718, 2.67950], [-3.29594, 1.05209, -1.87463], [0.28560, -5.37677, 2.88307], [-0.84877, 1.75804, -2.20183], [0.24205, -0.41543, 2.59496], [2.35333, -1.91723, 2.16140], [-4.19801, 0.73428, -2.99792], [2.58779, -4.35511, 6.10176], [0.23119, -1.85924, 2.05278], [0.83014, -5.42731, 3.82308], [-1.05052, 5.05032, -3.85151], [-0.19973, 2.91325, -2.76831], [-4.44363, 1.58292, -3.51259], [-2.42417, 3.19506, -2.91795], [-0.96936, 7.49108, -5.10881], [-0.37509, 0.88026, -1.77769], [0.86854, 3.07879, -2.85236], [-3.85843, 1.54274, -1.07342], [0.80443, -2.68464, 4.73699], [3.20349, -2.70815, 6.32275], [1.72907, -2.83601, 3.94373], [0.19727, 5.63085, -4.11004], [-0.06420, -1.84056, 0.53321], [-5.03355, 0.24199, -2.68176], [-2.86559, 0.13104, -1.46747], [-2.16558, 6.93846, -4.86087], [1.54539, -5.90145, 0.95231], [0.22744, 6.86874, -4.74825], [-1.19899, 3.75162, -3.19325], [-0.92885, 8.45442, -5.60770], [1.10495, 0.13448, 2.21978], [1.54558, -2.59542, 2.43420], [-2.20453, 5.74349, -4.24605], [1.76727, -3.81742, 1.63191], [1.01522, -1.18763, -0.34313], [0.72843, -1.28281, -1.39093], [4.29771, -3.99425, 5.76029], [1.12576, 5.14242, -3.82834], [-3.18077, 5.30747, -4.05678], [-0.21910, -2.86312, 0.18678], [1.17087, 7.35459, -4.97105], [3.62334, -3.43639, 3.61275], [3.27942, -3.60730, 5.70859], [1.24295, -5.03810, 1.75940], [-0.60393, -2.37877, 2.52347], [0.27673, -0.41928, 3.68469]], "smiles": "CC[C@H](C)[C@H](NC(C)=O)C(=O)NC.NCc1ccc(-c2cccnc2)o1", "fmax_ev_per_a": 2.1, "energy_ha": -1185.54867, "gap_ev": 8.62, "homo_ev": -8.1}

=====